-- Excerpt --
<<<
Record 1
Entry from the OMol25 dataset: a 2-piece molecular cluster, H2N2O2 overall (ωB97M-V/def2-TZVPD).

Atoms and positions in Å:
N: -0.132 0.192 -0.144
N: -3.565 5.264 -5.009
O: -2.480 5.880 -5.116
O: -4.568 5.887 -4.165
H: -0.601 1.231 -0.291
H: 0.443 0.086 -0.977

Results
HOMO energy: 1.27 eV
Lowest unoccupied orbital energy: 0.2707 Eh
2S+1: 1
Total charge: -2
Total energy: -7101.9077 eV

Atom charges from the natural (NBO) analysis, given in e for atoms 1 to 2: -1.504, 0.230

Record 2
Entry from the OMol25 dataset: a 2-piece molecular cluster, H2N2O3 overall (ωB97M-V/def2-TZVPD).

Atoms and positions in Å:
N: 0.040 -0.184 -0.279
N: -2.166 -1.407 0.743
O: -2.500 -1.621 -0.370
O: -2.825 -1.699 1.743
O: -1.144 -0.706 1.127
H: -0.324 0.695 -0.541
H: 0.739 0.235 0.311

Results
HOMO energy (alpha / beta): -10.97 / -10.96 eV
Lowest unoccupied orbital energy (alpha / beta): -0.0804 / -0.0807 Eh
2S+1: 1
Total charge: 0
Total energy: -9147.6266 eV

Atom charges from the natural (NBO) analysis, given in e for atoms 1 to 2: -0.391, 0.711

Record 3
Entry from the OMol25 dataset: one molecule with the formula H2N2O3S (ωB97M-V/def2-TZVPD).

Atoms and positions in Å:
O: 0.648 1.695 -0.867
N: 0.869 0.915 0.032
O: 1.646 1.023 0.936
N: 0.081 -0.398 -0.046
O: 0.069 -1.146 1.085
S: -1.467 -0.295 -0.813
H: -0.680 -0.964 1.689
H: -1.165 -0.830 -2.017

Results
HOMO energy: -10.20 eV
Lowest unoccupied orbital energy: 0.0079 Eh
2S+1: 1
Total charge: 0
SMILES: O=[N+]([O-])N(O)S
Total energy: -19984.3970 eV

Atom charges from the natural (NBO) analysis, given in e for atoms 1 to 2: -0.353, 0.615

Record 4
Entry from the OMol25 dataset: H2N2O3S as an isolated structure (ωB97M-V/def2-TZVPD).

Atoms and positions in Å:
N: -0.607 -0.341 0.923
N: -0.441 0.272 -1.152
O: 1.461 1.161 0.349
O: 1.583 -1.202 -0.233
O: -1.250 0.633 -0.130
S: 0.802 -0.020 0.016
H: -0.835 0.084 1.812
H: -0.714 -0.586 -1.583

Results
HOMO energy: -10.91 eV
Lowest unoccupied orbital energy: 0.0049 Eh
2S+1: 1
Total charge: 0
Total energy: -19985.0858 eV

Atom charges from the natural (NBO) analysis, given in e for atoms 1 to 2: -0.565, -0.511

Record 5
Entry from the OMol25 dataset: a 2-piece molecular cluster, H2N2O3S overall (ωB97M-V/def2-TZVPD).

Atoms and positions in Å:
N: -0.108 1.652 0.329
N: -0.519 0.664 -0.097
O: 2.808 -0.331 0.423
O: 4.715 0.932 -0.428
O: 0.222 -0.508 -0.490
S: 4.268 -0.341 0.114
H: -1.383 0.375 -0.466
H: 1.147 -0.351 -0.190

Results
HOMO energy: -9.00 eV
Lowest unoccupied orbital energy: -0.0762 Eh
2S+1: 1
Total charge: 0
Total energy: -19986.4442 eV

Atom charges from the natural (NBO) analysis, given in e for atoms 1 to 2: -0.206, 0.033

Record 6
Entry from the OMol25 dataset: H2N2O3S as an isolated structure (ωB97M-V/def2-TZVPD).

Atoms and positions in Å:
N: 0.823 0.864 1.210
N: -1.295 -0.187 -0.761
O: -2.087 0.355 -0.036
O: -1.234 -0.203 -1.974
O: 1.020 -1.624 -0.703
S: 0.082 -1.105 0.232
H: 1.589 0.701 1.755
H: 1.102 1.198 0.276

Results
HOMO energy (alpha / beta): -8.57 / -10.47 eV
Expectation value of S²: 2.0093
Lowest unoccupied orbital energy (alpha / beta): 0.0052 / -0.1109 Eh
2S+1: 3
Total charge: 0
Total energy: -19982.9132 eV

Atom charges from the natural (NBO) analysis, given in e for atoms 1 to 2: -0.637, 0.367

It is found that the F_max values, taken in the order of the records, are 5.44; 5.65; 1.33; 3.25; 4.23; 3.70 eV Å⁻¹.
It is found that the energy above the lowest of the compared OMol25 structures with the same formula, charge and spin values, taken in the order of the records, are 21.6; 60.2; 80.5; 64.7; 33.3; 66.2 kcal/mol.

~~~~~

# 1
DFT (ωB97M-V/def2-TZVPD) results for a structure of composition C26H26BF6O3 in a non-equilibrium geometry.

```
! RIJCOSX wB97M-V def2-TZVPD def2/J DEFGRID3
* xyz 1 1
F 5.927 -8.774 -0.953
F 4.833 2.778 -1.705
F 6.517 -7.641 -2.744
F 2.925 2.712 -2.823
F 2.907 3.032 -0.652
F 7.479 -7.198 -0.802
O -2.549 -0.035 1.976
O 0.102 -3.977 -1.228
O -2.459 -1.274 0.053
C 5.558 -5.188 -1.475
>>>

-- Activity --
It remains to say how many lines of the listing further above hold the word "unoccupied", as a bare number.

-- Worked solution --
6